Its been a week since any demon activity and the secret of the mysterious mark on Konkerou's back was revealed and Kagome and Konkerou haven't talked since the... embarrising moment between them. Konkerou usually sulked in his room and listened to music and Kagome did her usual chores and hung out with friends. One day.
"KAGOME!" Kagome's mom yelled up stairs.
-- Attached: records of molecules --
........
1.
Density functional theory data (ωB97M-V/def2-TZVPD) for a structure of composition C23H28B2F4N5O4RuS3.

The geometry in XYZ format:
```
70
C23H28B2F4N5O4RuS3 | the Open Molecules 2025 dataset | ωB97M-V/def2-TZVPD
Ru 1.43716 0.65282 0.26112
S -1.42258 -5.34495 0.88499
S -2.03717 -1.92940 -0.93638
S -1.50039 -2.01431 2.17841
F 2.43200 -3.02352 2.30115
F 3.21457 -0.99789 1.33951
F 3.91674 2.33029 -0.31331
F 3.28452 4.30466 -1.42190
O 1.98338 3.49476 0.31610
O 1.26513 -1.06292 2.62615
O 1.50550 -2.23872 0.33574
O 2.26070 2.29998 -1.96848
N 1.25625 0.23628 2.23009
N 2.07753 1.04243 -1.57638
N -5.32018 6.08852 -4.02229
N 1.58422 -1.17964 -0.50415
N 1.75481 2.43858 1.09901
C -0.34933 -4.55063 2.06268
C -0.98810 -4.55831 -0.70417
C -1.99345 2.72221 -1.54058
C -3.70618 4.46967 -2.82505
C -1.08986 1.88736 -0.90915
C -3.37568 -1.75654 0.26604
C 2.29769 0.03995 -2.35981
C -2.32855 4.56137 -3.06970
C 1.51023 1.19583 3.05332
C -4.60001 5.37003 -3.48785
C -1.00224 -3.47635 3.02517
C 1.72017 2.52272 2.38461
C -2.08016 -3.70583 -1.34695
C 2.51940 -2.56142 -2.29738
C 2.80725 0.19380 -3.74467
C 2.08671 -1.28042 -1.68850
C 1.96065 3.77304 3.14494
C -3.08157 -2.52390 1.53940
C 1.68913 1.01936 4.51371
C -1.47433 3.69396 -2.43898
C -4.23352 3.51191 -1.94039
C -0.18283 1.24415 -0.34434
C -3.38812 2.64627 -1.30108
B 2.93242 3.14802 -0.84570
B 2.15454 -1.85809 1.67688
H -0.23020 -3.18796 3.73825
H 2.68092 -3.30596 -1.52177
H 3.88603 0.37163 -3.71718
H 2.35316 1.06573 -4.21201
H -3.85166 -2.42487 2.31134
H -0.40530 3.74116 -2.60114
H 2.61314 -0.69229 -4.34324
H -1.84993 -3.92165 3.54476
H -2.99335 -3.60335 1.32952
H 0.51162 -4.11796 1.56205
H 2.02779 4.61818 2.46689
H -3.77195 1.90727 -0.61216
H 0.81159 1.40445 5.04006
H 1.81333 -0.03223 4.75514
H -3.44250 -0.68381 0.45980
H -0.75509 -5.39630 -1.36296
H -0.07427 -3.98424 -0.55368
H 2.55182 1.58459 4.86398
H 1.75087 -2.92876 -2.98314
H -1.95452 5.31274 -3.75082
H -5.30083 3.47469 -1.77403
H -3.08021 -4.09142 -1.14176
H 2.89809 3.69283 3.69993
H 0.00434 -5.32708 2.74262
H -1.95643 -3.74538 -2.42989
H 3.43304 -2.42192 -2.87272
H 1.16212 3.93997 3.86935
H -4.32803 -2.07320 -0.15903
```

Summary:
Gap between HOMO and LUMO (spin up / spin down): 4.98 / 4.57 eV
Net charge: +2
HOMO level (spin up / spin down): -14.481 / -14.080 eV
Spin multiplicity: 2
DFT total energy: -3206.07784 Ha
<S²>: 0.75



2.
Density functional theory data (ωB97M-V/def2-TZVPD) for an isolated molecule of C2H6ClN3S.

The geometry in XYZ format:
```
13
C2H6ClN3S | the Open Molecules 2025 dataset | ωB97M-V/def2-TZVPD
Cl 1.34474 1.07408 1.48891
S 1.18992 -1.59318 -0.64136
N -0.19013 -0.74853 -0.87150
N -1.77490 0.86779 -0.36847
N -2.16956 0.72034 -1.71025
C -0.78270 0.14861 -0.02137
C -0.26949 0.33501 1.33701
H -2.80972 1.51590 -1.96657
H -0.17783 -0.63979 1.97706
H 0.54554 -2.75000 -0.43834
H -0.99775 1.02564 1.80378
H -2.63506 -0.19736 -1.79665
H -0.56912 -0.50179 -1.87138
```

Summary:
Gap between HOMO and LUMO: 9.40 eV
Net charge: 0
........
"Yah?"Kagome asked.
"Theres some boy on the phone hesays hes in your class."Her mom said Kagome's mom handed Kagome and said.
"Hello?" Kagome asked into the phone.
"Hey Kagome,how yah doing?"
"Hojo?"Kagome asked.
"Yah, I haven't seen yah latly so I was if we could get together hang out a bit." Hojo said.
"Here?" She asked nervously looking up stairs Konkerou was walking down the stairs tail unfurled kinda wagging to the heavy beat of what ever Konkerou was listening to his ipod."
"If somethings going on there we could meet up some time else."Hojo said a little disapointed.
"No its just not here but some were else would be good." she said quickly.
"Great hows lunch? Tomorow." Hojo asked. I'll pick you up."
"Uh ok." Kagome said.
┌──
This record from the Open Molecules 2025 dataset describes C5H8O2 as an isolated structure in a non-equilibrium geometry. The level of theory is ωB97M-V with the def2-TZVPD basis set.

Structure (XYZ):
```
15
Properties=species:S:1:pos:R:3:forces:R:3
O -0.104 -1.805 0.233 -0.12 3.38 -0.02
O -2.467 -1.013 -0.166 -0.01 -5.29 -0.24
C -0.229 -0.531 0.231 2.09 -5.00 0.43
C 0.976 0.351 0.424 -0.17 -2.46 4.63
C -1.566 -0.065 0.014 -0.45 0.56 -0.65
C 2.130 -0.075 -0.417 -1.59 -6.49 2.15
C -1.956 1.212 -0.065 4.24 2.17 0.54
H 2.612 -1.291 -0.611 -2.55 2.73 1.40
H -2.006 -2.161 -0.203 -0.93 5.66 0.55
H -1.181 2.166 -0.054 -2.38 -2.84 0.14
H 2.944 0.219 -0.008 5.53 3.19 1.70
H -2.973 1.344 -0.026 -2.23 0.90 -0.39
H 1.884 0.082 -1.329 -0.61 2.00 -6.34
H 0.563 1.324 0.287 0.82 1.11 -0.21
H 1.374 0.244 1.689 -1.63 0.40 -3.70
```
Positions in Å, forces in eV/Å.

## Properties
Highest occupied orbital energy ... -9.181 eV
HOMO-LUMO gap ... 9.018 eV
ΔE to the lowest compared entry with this formula, charge and spin ... 117.4 kcal/mol

=====

This record from the Open Molecules 2025 dataset describes a 4-piece molecular cluster, C26H33IN2O12S2 overall. The level of theory is ωB97M-V with the def2-TZVPD basis set.

Structure (XYZ):
```
76
Properties=species:S:1:pos:R:3:forces:R:3
I -5.976 -0.951 0.346 -0.05 -0.08 -0.06
S 2.949 -2.496 2.927 -0.40 -0.27 0.23
S 3.303 -4.060 0.401 -0.27 -0.24 -0.11
O 0.253 1.150 4.259 0.17 -0.20 0.22
O -6.066 1.717 -3.423 0.03 0.01 -0.07
O 4.008 -1.180 -1.164 -0.06 0.06 -0.04
O -6.723 -0.207 -4.392 -0.04 0.06 -0.06
O 2.861 3.854 2.005 0.10 0.02 -0.04
O -4.029 1.441 3.427 -0.33 -0.10 0.00
O 4.110 0.705 -2.336 -0.09 -0.04 0.15
O -1.995 0.961 4.246 -0.01 0.58 0.02
O 3.244 5.891 1.198 -0.02 -0.03 -0.04
O 4.006 4.090 0.075 0.06 -0.04 -0.05
O -4.935 0.857 -5.173 0.04 -0.04 0.00
O 2.316 0.296 -1.027 -0.09 0.01 0.01
N 2.634 -5.130 2.733 0.25 0.09 0.12
N 2.809 -6.754 4.226 -0.11 0.00 -0.10
C 5.423 0.115 -2.416 0.14 -0.05 -0.12
C -2.891 0.524 0.596 0.24 0.51 -0.01
C 5.111 -1.327 -2.064 0.10 0.01 0.01
C -2.923 1.078 3.207 0.29 -0.30 0.02
C 2.504 4.771 3.058 -0.15 0.04 0.10
C 3.374 -0.021 -1.466 0.17 0.08 -0.17
C -4.952 -0.428 -5.808 0.02 0.01 -0.05
C 0.746 -1.208 1.805 -0.16 0.25 0.09
C 6.034 0.340 -3.773 -0.19 0.08 -0.12
C -0.751 0.912 3.667 -0.14 -0.19 -0.29
C 3.384 -5.694 3.728 -0.07 -0.05 0.14
C 3.429 4.561 0.998 -0.08 0.02 0.12
C 2.306 6.047 2.268 0.01 0.05 0.03
C -6.649 -2.329 -5.571 -0.03 -0.02 0.23
C -4.063 1.481 0.305 0.02 -0.02 -0.15
C 1.495 -5.896 2.607 0.05 -0.25 0.05
C -6.399 -0.847 -5.642 0.03 -0.15 -0.04
C -2.227 0.718 1.928 0.11 -0.10 0.03
C 1.626 -6.884 3.537 -0.06 0.07 -0.15
C 2.267 -1.291 1.757 0.36 0.00 -0.19
C -5.925 0.874 -4.249 -0.06 0.00 0.04
C 2.951 -3.972 1.973 0.09 0.21 -0.15
C -5.238 0.876 -0.461 0.10 0.70 0.00
C 0.236 0.201 1.380 -0.02 -0.47 0.01
C 1.306 4.278 3.824 -0.06 -0.20 -0.13
C -0.927 0.594 2.221 -0.09 0.09 -0.17
H 7.036 -0.089 -3.810 0.00 -0.01 0.02
H 0.926 -7.685 3.718 0.10 0.02 0.12
└──
"Bye."They said and hung up.
Tomorrow... Kagome was rushing around the house trying to get ready Konkerou was still unaware of what was happening and just took his usual pace. watching Kagome run around like she was tring to find her head. The door bell rang and Kagome looked through the window it was Hojo.
"Just a sec!" she yelled as she ran to Konkerou she pulled his hair over his ears and her least favorite part stuffing Konkerou's tail into his pants.
"What the hell was that for!" Konkerou said pushing himselfcloser to the couch felling violated.
"There's a guy from school here and people from this time arn't used to demons!" she said angrily as she walked to the door.
"Hey Hojo." Kagome said as she opened the door.
"Hey Kagome."Hojo said "who's he?" Hojo asked as he glanced at the boy walking into the kitchen.
"Him he's... the kid of one of my moms friends there house was by the construction building that was attacked." Kagome said quickly.
"Oh sorry to here about your house." He said to Konkerou as he entered the living room. taking a bag of cheeto's and a con of coke to his room.
"My what?" Konkerou asked looking clueless.
"Don't mind him he likes to joke around." Kagome said rubbing the back of her head.
They arrived at a small dinner in town.
" How about these weird lights and attacks." Hojo said. "And did you hear there was a kid about sisteen or so running through pooring rain and jumping over speeding cars."
"Really?" Kagome said trying to act supprised.
A giant hole was in the roof over there table a giant millapid loamed over them four beady eyes staired at them.
"Hell slasher!" a voice echoed as 3 orange streaks hit it in its face.
Konkerou was on the roof his red demon slayer suit had a large black X on his chest a black belt full of kunni knives, throwing stars, his giant sword and a magnum pistol. seperated his long Red chest pice and black arms. from his red leggings. His long black cape his tail stiff and by his side his ears not moving his dirty blond hair flew from behind him. His face serious he took out 3 kunni knives were tucked in his knuckeles flung them out into its face.
"He looks like a true hero." Kagome whispered. Hojo I've got to go. She said running out the door she climbed the gutter up to him.
"Here Kagome he tossed her bow to her and he charged.
"DIE!" Konkerou said whipping out his sword. as he slashed its armored head.
He gra$bed its antenne and the beast tossed him around.
"KAGOME TAKE THE SHOT!" he said as th beast was leaning back.
*TWACK* the arrow shot right through the beasts arrmored plates strait to it heart.
"YES!" Kagome said happily. Konkerou jumped down and helped Kagome get down.
Hojo ran to them "You mean your cousins the guy who jumped over the cars, caused the lights and killed the bird?"
"He's not my cousin he's not even the kid of my moms friend if you could remember that he's a kind hearted, sweet, sensitive demon who's trying to find a way back to his own time.
"Wow." Hojo said
"We have to go know before the news team comes." Kagome said as she hopped on Konkerou's back.
• Calculated molecules, as found in the file:
254
Properties=species:S:1:pos:R:3:forces:R:3:lowdin_charge:R:1 method="wB97M-V/def2-TZVPD" homo_energy_ev=-9.260 relative_energy_kcal_mol=6.6
C 2.166 0.999 4.746 -0.5 0.7 -1.6 -0.06
O 1.186 0.725 3.693 0.4 -0.7 0.7 -0.22
C 1.354 1.372 2.403 1.6 -0.7 1.5 -0.13
C 0.954 0.392 1.291 0.2 2.1 -0.1 -0.18
O -0.438 0.388 1.322 -1.7 -1.4 -0.1 -0.11
C -1.122 -0.308 0.274 -0.2 0.9 -0.9 -0.14
C -1.278 0.513 -1.045 0.1 0.0 1.1 -0.18
O -0.103 0.579 -1.830 0.0 -1.6 0.1 -0.18
C 0.074 -0.693 -2.477 0.2 0.2 -1.4 -0.08
H 1.845 0.546 5.684 -0.2 -0.1 -0.3 0.07
H 2.241 2.080 4.864 -0.1 0.2 0.3 0.08
H 3.177 0.678 4.495 0.0 -0.5 -0.3 0.07
H 2.421 1.585 2.340 0.2 0.1 -0.5 0.10
H 0.860 2.340 2.487 -0.5 -0.1 -0.7 0.11
H 1.516 -0.536 1.398 -0.5 -0.5 0.4 0.11
H 1.222 0.770 0.305 0.6 0.4 -0.1 0.10
H -2.148 -0.541 0.559 0.0 0.3 0.7 0.12
H -0.713 -1.290 0.036 0.6 0.0 0.1 0.11
H -1.552 1.551 -0.854 -0.1 -0.1 0.4 0.11
H -2.106 0.058 -1.589 -0.1 -0.1 -0.4 0.12
H 1.128 -0.875 -2.686 0.0 0.2 0.1 0.07
H -0.462 -0.679 -3.426 0.2 0.3 -0.4 0.06
H -0.347 -1.615 -2.075 0.0 0.3 1.2 0.09
C -1.579 -3.718 5.671 -0.2 0.5 0.8 -0.10
O -2.255 -2.536 5.256 0.2 0.9 -1.1 -0.20
C -1.388 -1.417 4.848 0.0 -1.1 1.3 -0.14
C -0.822 -0.641 6.031 0.1 0.4 -1.4 -0.21
O 0.256 -1.304 6.622 0.8 -0.8 0.8 -0.14
C 0.673 -0.683 7.824 1.0 -0.3 0.5 -0.18
C 2.111 -1.092 8.274 -1.2 -1.6 -1.2 -0.15
O 2.017 -2.537 8.284 0.5 -0.2 -0.1 -0.20
C 3.218 -3.319 8.393 0.0 1.2 0.6 -0.09
H -2.269 -4.542 5.849 -0.6 0.2 -0.5 0.08
H -1.193 -3.527 6.672 0.8 -0.1 -0.2 0.08
H -0.846 -4.075 4.947 0.3 0.2 0.0 0.08
H -1.904 -0.676 4.238 -0.6 -0.4 0.0 0.13
H -0.557 -1.780 4.241 0.1 -0.2 0.0 0.10
H -1.624 -0.344 6.708 0.0 -0.2 0.3 0.14
H -0.390 0.241 5.557 -0.3 0.6 0.1 0.09
H 0.042 -1.036 8.640 -0.4 0.4 0.1 0.13
H 0.656 0.398 7.686 -0.2 0.3 0.3 0.12
H 2.380 -0.696 9.254 -0.2 0.1 0.1 0.12
H 2.840 -0.735 7.546 0.3 -0.2 -0.2 0.09
H 4.003 -2.877 7.779 0.1 -0.1 -0.2 0.07
H 3.077 -4.374 8.156 -0.6 0.3 -0.4 0.08
H 3.575 -3.320 9.423 0.1 0.2 0.2 0.08
C 3.275 4.483 -4.838 -0.5 0.7 0.4 -0.12
O 2.901 3.125 -4.761 0.5 -0.2 0.3 -0.20
C 4.033 2.265 -4.833 -0.3 -0.2 0.2 -0.18
C 3.477 0.846 -4.847 0.0 -1.2 -0.8 -0.16
O 4.435 -0.253 -4.784 -1.3 1.8 0.8 -0.16
C 5.175 -0.348 -5.971 1.3 -0.9 0.8 -0.18
C 6.255 -1.436 -5.666 -0.2 0.7 0.8 -0.15
O 7.382 -0.788 -5.004 -1.8 0.1 -0.8 -0.20
C 8.371 -1.641 -4.519 0.5 0.0 -0.7 -0.13
H 4.157 4.745 -4.254 0.3 -0.4 0.0 0.09
H 2.479 5.077 -4.389 -0.2 -0.1 -0.1 0.09
H 3.410 4.837 -5.860 0.1 -0.2 -0.2 0.09
H 4.687 2.384 -3.969 0.1 0.2 0.3 0.12
H 4.609 2.539 -5.717 0.1 -0.3 -0.2 0.12
H 2.892 0.699 -5.754 0.0 0.2 -0.5 0.12
H 2.716 0.691 -4.082 0.4 0.1 0.6 0.11
H 5.689 0.589 -6.186 0.2 0.1 -0.1 0.12
H 4.501 -0.563 -6.801 0.1 -0.4 -0.2 0.12
H 6.459 -2.054 -6.540 0.8 0.4 -0.3 0.12
H 5.880 -2.146 -4.929 -0.6 0.0 0.0 0.12
H 8.112 -2.416 -3.798 -0.8 0.1 0.2 0.08
H 9.089 -0.977 -4.037 0.3 -0.2 -0.2 0.09
H 8.763 -2.156 -5.396 0.8 -0.2 0.1 0.09
C -1.586 5.004 -11.918 1.0 -0.3 0.3 -0.09
O -0.822 5.254 -10.726 0.3 0.5 -0.6 -0.19
"Hey Kagome." Konkerou said
"Yah?" Kagome asked.
"Do you relly think of me like that?" Konkerou asked.
"Well yah your a real sweet guy." Kagome said.
"Thanks."He said as he ran them home